Assignment:
Duplicate all of the entries further down without additions, please.

Data:
# Sc2Cu2Sb

A geometry-optimized Sc2Cu2Sb structure (PBE, Alexandria via LeMat-Bulk).

Properties
* energy above the most stable polymorph in this dataset: 246 meV/atom
* E_form (uncorrected): -111.9 kJ/mol of formula units
* total magnetic moment: 0.54 μB/f.u.
* crystal system: tetragonal

Cell lengths 3.4644, 3.4644, 16.3504 Å; angles 90.00, 90.00, 90.00 degrees
Closest atoms and distances in Å follow each position.
Space group I4/mmm (No. 139)
Unique sites:
Sc (0.0000, 0.0000, 0.1144) (multiplicity 4)  4 Cu 2.81, 4 Sb 3.08
Cu (0.0000, 0.5000, 0.2500) (multiplicity 4)  4 Cu 2.45
Sb (0.0000, 0.0000, 0.5000) (multiplicity 2)  8 Sc 3.08

=====

1.
DFT (PBEsol) results for crystalline HgPb3 at its relaxed geometry.

Calculated values
Space group: No. 65
Energy relative to the elements in meV per atom: 10
ρ in Mg/m³: 12.165

a b c (Å): 3.3755 5.9810 5.9810
angles (deg): 111.65 90.00 90.00
Closest atoms and distances in Å follow each position.
Fractional coordinates of all 4 atoms:
Hg 0.0000 0.0000 0.0000  10 Pb 3.36-3.43, 2 Hg 3.38
Pb 0.5000 0.0000 0.5000  8 Pb 3.36-3.43, 4 Hg 3.43
Pb 0.5000 0.5000 0.0000  8 Pb 3.36-3.43, 4 Hg 3.43
Pb 0.0000 0.5000 0.5000  2 Hg 3.36, 10 Pb 3.38-3.43

***

2.
DFT (PBEsol) results for crystalline HgPb4 at its relaxed geometry.

Calculated values
Space group: No. 139
Energy relative to the elements in meV per atom: 164
Relative energy among the computed polymorphs in eV/atom: 0.1650
ρ in Mg/m³: 10.801

a b c (Å): 4.4759 4.4759 8.5098
angles (deg): 105.25 105.25 90.00
Closest atoms and distances in Å follow each position.
Fractional coordinates of all 5 atoms:
Pb 0.5991 0.5991 0.1982  5 Pb 3.13-3.27
Pb 0.7500 0.2500 0.5000  8 Pb 3.16-3.27
Pb 0.4009 0.4009 0.8018  5 Pb 3.13-3.27
Pb 0.2500 0.7500 0.5000  8 Pb 3.16-3.27
Hg 0.0000 0.0000 0.0000  8 Pb 3.53

***

Calculated volume, 112; 158 Å³ per cell (same order as the records).
Calculated total magnetic moment, 0.000; 0.000 Bohr magnetons per cell (same order as the records).
Calculated calculated total energy, -3.131; -3.149 eV per atom (same order as the records).

=====

Entry a
The following is a PBE calculation of an optimized crystal structure of Tb3PmAu4, from Alexandria via LeMat-Bulk.

Cell lengths 5.254, 5.649, 7.958 Å; angles 114.37, 109.27, 90.00 degrees
Fractional coordinates of all 8 atoms:
Tb (0.000, 0.500, 0.000)
Tb (0.181, 0.254, 0.361)
Tb (0.819, 0.746, 0.639)
Au (0.607, 0.609, 0.215)
Au (0.751, 0.176, 0.502)
Au (0.393, 0.391, 0.785)
Au (0.249, 0.824, 0.498)
Pm (0.500, 0.000, 0.000)

Values from the calculation:
The density of states at the Fermi level comes out at 6.002 states/eV per cell. Its space-group type is C2/m (12).

=====

Entry b
The following is a PBE calculation of an optimized crystal structure of Tb3PmAu4, from Alexandria via LeMat-Bulk.

Cell lengths 5.137, 5.137, 8.932 Å; angles 73.29, 73.29, 60.00 degrees
Fractional coordinates of all 8 atoms:
Tb (0.751, 0.751, 0.748)
Tb (0.249, 0.249, 0.252)
Tb (0.500, 0.500, 0.500)
Au (0.873, 0.873, 0.381)
Au (0.378, 0.378, 0.866)
Au (0.127, 0.127, 0.619)
Au (0.622, 0.622, 0.134)
Pm (0.000, 0.000, 0.000)

Values from the calculation:
The density of states at the Fermi level comes out at 4.278 states/eV per cell. Its space-group type is R-3m (166).

=====

Most favorable structure: entry b. The second most favorable one is 181 meV per atom above it.

=====

--- i ---
Here is crystalline FeSnF3 at its relaxed geometry from the Alexandria database. Energies are from PBE+U.

```
5
Lattice="4.211 0.000 0.000 0.000 4.211 0.000 0.000 0.000 4.211" Properties=species:S:1:pos:R:3 pbc="T T T"
Fe 0.000 0.000 0.000
Sn 2.105 2.105 2.105
F 0.000 0.000 2.105
F 0.000 2.105 0.000
F 2.105 0.000 0.000
```

Summary:
Theoretical density   5.15 Mg/m³
V   14.9 Å³/atom
SG   Pm-3m, No. 221
Density of states at the Fermi level   6.32 states/eV/cell

Reply:
# Sc2Cu2Sb

A geometry-optimized Sc2Cu2Sb structure (PBE, Alexandria via LeMat-Bulk).

Properties
* energy above the most stable polymorph in this dataset: 246 meV/atom
* E_form (uncorrected): -111.9 kJ/mol of formula units
* total magnetic moment: 0.54 μB/f.u.
* crystal system: tetragonal

Cell lengths 3.4644, 3.4644, 16.3504 Å; angles 90.00, 90.00, 90.00 degrees
Closest atoms and distances in Å follow each position.
Space group I4/mmm (No. 139)
Unique sites:
Sc (0.0000, 0.0000, 0.1144) (multiplicity 4)  4 Cu 2.81, 4 Sb 3.08
Cu (0.0000, 0.5000, 0.2500) (multiplicity 4)  4 Cu 2.45
Sb (0.0000, 0.0000, 0.5000) (multiplicity 2)  8 Sc 3.08

=====

1.
DFT (PBEsol) results for crystalline HgPb3 at its relaxed geometry.

Calculated values
Space group: No. 65
Energy relative to the elements in meV per atom: 10
ρ in Mg/m³: 12.165

a b c (Å): 3.3755 5.9810 5.9810
angles (deg): 111.65 90.00 90.00
Closest atoms and distances in Å follow each position.
Fractional coordinates of all 4 atoms:
Hg 0.0000 0.0000 0.0000  10 Pb 3.36-3.43, 2 Hg 3.38
Pb 0.5000 0.0000 0.5000  8 Pb 3.36-3.43, 4 Hg 3.43
Pb 0.5000 0.5000 0.0000  8 Pb 3.36-3.43, 4 Hg 3.43
Pb 0.0000 0.5000 0.5000  2 Hg 3.36, 10 Pb 3.38-3.43

***

2.
DFT (PBEsol) results for crystalline HgPb4 at its relaxed geometry.

Calculated values
Space group: No. 139
Energy relative to the elements in meV per atom: 164
Relative energy among the computed polymorphs in eV/atom: 0.1650
ρ in Mg/m³: 10.801

a b c (Å): 4.4759 4.4759 8.5098
angles (deg): 105.25 105.25 90.00
Closest atoms and distances in Å follow each position.
Fractional coordinates of all 5 atoms:
Pb 0.5991 0.5991 0.1982  5 Pb 3.13-3.27
Pb 0.7500 0.2500 0.5000  8 Pb 3.16-3.27
Pb 0.4009 0.4009 0.8018  5 Pb 3.13-3.27
Pb 0.2500 0.7500 0.5000  8 Pb 3.16-3.27
Hg 0.0000 0.0000 0.0000  8 Pb 3.53

***

Calculated volume, 112; 158 Å³ per cell (same order as the records).
Calculated total magnetic moment, 0.000; 0.000 Bohr magnetons per cell (same order as the records).
Calculated calculated total energy, -3.131; -3.149 eV per atom (same order as the records).

=====

Entry a
The following is a PBE calculation of an optimized crystal structure of Tb3PmAu4, from Alexandria via LeMat-Bulk.

Cell lengths 5.254, 5.649, 7.958 Å; angles 114.37, 109.27, 90.00 degrees
Fractional coordinates of all 8 atoms:
Tb (0.000, 0.500, 0.000)
Tb (0.181, 0.254, 0.361)
Tb (0.819, 0.746, 0.639)
Au (0.607, 0.609, 0.215)
Au (0.751, 0.176, 0.502)
Au (0.393, 0.391, 0.785)
Au (0.249, 0.824, 0.498)
Pm (0.500, 0.000, 0.000)

Values from the calculation:
The density of states at the Fermi level comes out at 6.002 states/eV per cell. Its space-group type is C2/m (12).

=====

Entry b
The following is a PBE calculation of an optimized crystal structure of Tb3PmAu4, from Alexandria via LeMat-Bulk.

Cell lengths 5.137, 5.137, 8.932 Å; angles 73.29, 73.29, 60.00 degrees
Fractional coordinates of all 8 atoms:
Tb (0.751, 0.751, 0.748)
Tb (0.249, 0.249, 0.252)
Tb (0.500, 0.500, 0.500)
Au (0.873, 0.873, 0.381)
Au (0.378, 0.378, 0.866)
Au (0.127, 0.127, 0.619)
Au (0.622, 0.622, 0.134)
Pm (0.000, 0.000, 0.000)

Values from the calculation:
The density of states at the Fermi level comes out at 4.278 states/eV per cell. Its space-group type is R-3m (166).

=====

Most favorable structure: entry b. The second most favorable one is 181 meV per atom above it.

=====

--- i ---
Here is crystalline FeSnF3 at its relaxed geometry from the Alexandria database. Energies are from PBE+U.

```
5
Lattice="4.211 0.000 0.000 0.000 4.211 0.000 0.000 0.000 4.211" Properties=species:S:1:pos:R:3 pbc="T T T"
Fe 0.000 0.000 0.000
Sn 2.105 2.105 2.105
F 0.000 0.000 2.105
F 0.000 2.105 0.000
F 2.105 0.000 0.000
```

Summary:
Theoretical density   5.15 Mg/m³
V   14.9 Å³/atom
SG   Pm-3m, No. 221
Density of states at the Fermi level   6.32 states/eV/cell